  • End Run Date unknown. Object and Place:1. CIHM: JUBILEE NUMBER. Other Sources:1. NSWA. Deficiencies:Regular run. Microform:CIHM #04287.
  • Object and Place:1. OTMCL V.1,1-12 2. OTU MF COMPLETE. Other Sources:1. NSHD (AP5.H3) BROKEN 2. NSHP (AK F90 H13) BROKEN 3. NSWA BROKEN. Microform:CIHM #04924.
  • End Run Date unknown....
  • End Run Date unknown. Object and Place:1. CIHM (V.1,1). Microform:CIHM #04774. Only one issue; Publication ofthe students of the University of King's College, Windsor, NS.
  • 1883-02-1896-09
    Object and Place:1. PRESBYTERIAN CHURCH ARCHIVES (OTUK). Other Sources:1. OONL 2. OTArch. Microform:CIHM #05059. Student publication of Knox College, U of T.
  • 1885-01-1886-12
    Object and Place:1. OONL V.3,2-6; V.4,1;4 2. OTMCL COMPLETE. Other Sources:MF OTUV. Microform:CIHM #04629. Publ of Victoria College. Follows V.P. JOURNAL (VPJ); note volume sequence.
  • 1892-08-1893-02
    Object and Place:OKQ MF. Microform:MCLAREN.
  • 1863-09-1864-10
    Object and Place:OTArch: V.1, 4, 7-8. Deficiencies:V.1, 1-3, 5-6, 9+ (SEP 1863 - ? 1864). Followed by New Series (LT2).
  • Object and Place:OTArch: n.s. V.1, 2 & 5. Deficiencies:n.s. V.1, 1, 3-4, 6+ (1864). Preceeded by First Series (LT1).
  • 1868-01-1868-11
    Object and Place:1. OONL: V.1, 1,3,9 2. QMM: V.1, 2,4-8-10-11....
  • 1874-07-1875
    Object and Place:1. NSWA I, 4; 10-11; 14; 21 2. PAPEI: I, 3, 4, 6, 8, 11, 12, 14, 16, 19-22 3. CIHM: I, 4, 10-11, 14, 21-22. Deficiencies:V. I, 1-2; 5; 7; 13; 15; 23+ (1874+). Microform:CIHM #04755.
  • 1838-12-1851-12
  • Object and Place:OKR (F5400 L55). Other Sources:MF DONNER. Microform:SIMON FRASER UNIVERSITY (DONNER). Followed by SECOND SERIES (LS2).
  • Object and Place:1. OKR (F5400 L77) ns V.1-20 2. OOC ns V.21-23. Other Sources:MF DONNER. Microform:SIMON FRASER UNIVERSITY (DONNER). Precceded by FIRST SERIES (LS1).
  • 1896-07-1897-01
    Object and Place:1. OONL: V.1, 1,4; V.2,1 2. OOA V.1, 1;3-4 [P-586] 3. CIHM: as in 2 above....
  • 1848-03-1848-09
The page is interrupted by crystal structures.
The following is a r²SCAN calculation of a relaxed SmAlGa crystal, from Materials Project.

Unit cell a=4.272 b=4.272 c=4.243 alpha=90.00 beta=90.00 gamma=120.00
Fractional positions:
Sm 0.333 0.667 0.000
Al 0.667 0.333 0.500
Ga 0.000 0.000 0.500

Calculated values
Electronic total energy: -49.97 eV for the cell shown
Magnetic moment: 0.000 μB per cell

=====

The following is a r²SCAN calculation of a relaxed AlV6Ga crystal, from Materials Project.

Unit cell a=4.775 b=4.775 c=4.775 alpha=90.00 beta=90.00 gamma=90.00
Fractional positions:
Al 0.500 0.500 0.500
V 0.500 0.748 0.000
V 0.252 0.000 0.500
V 0.000 0.500 0.748
V 0.500 0.252 0.000
V 0.748 0.000 0.500
V 0.000 0.500 0.252
Ga 0.000 0.000 0.000

Calculated values
Electronic total energy: -104.32 eV for the cell shown
Magnetic moment: 3.332 μB per cell

=====

The following is a r²SCAN calculation of a relaxed YbAlGa crystal, from Materials Project.

Unit cell a=4.384 b=4.384 c=6.942 alpha=90.00 beta=90.00 gamma=120.00
Fractional positions:
Yb 0.000 0.000 0.500
Yb 0.000 0.000 0.000
Al 0.333 0.667 0.250
Al 0.667 0.333 0.750
Ga 0.333 0.667 0.750
Ga 0.667 0.333 0.250

Calculated values
Electronic total energy: -113.07 eV for the cell shown
Magnetic moment: 0.000 μB per cell

=====

The following is a r²SCAN calculation of a relaxed GdAl3 crystal, from Materials Project.

Unit cell a=6.325 b=6.326 c=4.589 alpha=90.00 beta=90.00 gamma=119.99
Fractional positions:
Gd 0.667 0.333 0.250
Gd 0.333 0.667 0.750
Al 0.856 0.144 0.750
Al 0.288 0.144 0.750
Al 0.856 0.712 0.750
Al 0.144 0.856 0.250
Al 0.712 0.856 0.250
Al 0.144 0.288 0.250

Calculated values
Electronic total energy: -130.82 eV for the cell shown
Magnetic moment: 14.264 μB per cell

=====

The following is a r²SCAN calculation of a relaxed GdAl2 crystal, from Materials Project.

Unit cell a=5.575 b=5.575 c=5.575 alpha=60.00 beta=60.00 gamma=60.00
Fractional positions:
Gd 0.875 0.875 0.875
Gd 0.125 0.125 0.125
Al 0.500 0.500 0.500
Al 0.500 0.500 0.000
Al 0.000 0.500 0.500
Al 0.500 0.000 0.500

Calculated values
Electronic total energy: -117.15 eV for the cell shown
Magnetic moment: 15.142 μB per cell

=====

The following is a r²SCAN calculation of a relaxed GdAl crystal, from Materials Project.

Unit cell a=3.628 b=3.628 c=3.628 alpha=90.00 beta=90.00 gamma=90.00
Fractional positions:
Gd 0.000 0.000 0.000
Al 0.500 0.500 0.500

Calculated values
Electronic total energy: -50.87 eV for the cell shown
Magnetic moment: 7.113 μB per cell

=====

The following is a r²SCAN calculation of a relaxed GdAl crystal, from Materials Project.

Unit cell a=5.590 b=5.916 c=5.916 alpha=101.60 beta=90.00 gamma=90.00
Fractional positions:
Gd 0.250 0.968 0.338
Gd 0.750 0.662 0.032
Gd 0.750 0.032 0.662
Gd 0.250 0.338 0.968
Al 0.500 0.500 0.500
Al 0.000 0.500 0.500
Al 0.250 0.809 0.809
Al 0.750 0.191 0.191

Calculated values
Electronic total energy: -203.95 eV for the cell shown
Magnetic moment: 30.167 μB per cell

=====
    Object and Place:OONL: MF V.1, 1-6....
  • End Run Date unknown. Object and Place:OONL (K-29-4): V.1-2 (DEC 1883 - APR 1884). Deficiencies:Anything after V.1,2 (Apr 1884). Microform:CIHM #04304.
  • 1891-12-1893-10
    Object and Place:1. MF: MICROMEDIA 2. OTMCL: V.2,8 (AUG 1893) 3. OTMCL: V.2,10 (OCT 1893). Microform:MICROMEDIA.
  • 1847-1849
    Object and Place:OKQ (SCLP). Other Sources:OTMCL.
  • 1852-07-1854-12
    Object and Place:1. OKQ V.1,2 (AUG 1852) - LPSC F5012.1852.M297 2. OTMCL: V.1,1 - V. 4,5; V.4,7 - V.4,9; V.4,12 3. OTMCL (OSBORNE COLL, BOYS ANDD GIRLS HSE): COMPLETE....
  • Run Date unknown - around 1890. Object and Place:OTMCL. Deficiencies:p. 17-18; 49-50. Microform:CIHM #A00473. Published for the St. Nicholas Home. Reserved Index Numbers: 0006-0010, 0025-0029
  • Object and Place:1. OKQ (SCLP AP5.M25) V.1,1-V. 2,6 2. MF MICROMEDIA (PC). Other Sources:OTLL. Microform:MICROMEDIA. See Stewart, "An Early New Brunswick Magazine," NBM V.1,2 p.79.
  • 1895-12-
    End Run Date unknown. Object and Place:1. CIHM (V.1,1; 1,4 [DEC 1895; MAR 1896]). Other Sources:1. PANS. Deficiencies:V.1, 2-3 (JAN-FEB 1896); Anything after V.1, 4. Microform:CIHM #04607.
  • 1888-12-1895-12
    Object and Place:OKR MF. Microform:MCLAREN. Absorbed TRIP HAMMER (TRP), DEC 1888. Index No. 2202 was not used - indexing error. Index Nos. run consecutively through both series.
  • 1882-03-1884-12
    Object and Place:OKR MF. Microform:MCLAREN. Followed by SECOND SERIES (MI2) when it absorbed TRIP HAMMER (TRH), DEC 1888.
  • 1896-01-1897-06
• Calculated crystals that have nothing to do with the text:
Computed, not measured: a geometry-optimized Na2Hf2O5 structure at the meta-GGA r2SCAN level of DFT.

Values from the calculation:
* formation energy from the elements: -3045.6 meV per atom
* mass density: 6.5 Mg/m³

Lattice parameters (Å, degrees): 3.950 3.950 7.948 90.00 90.00 90.00
Sites, in units of the cell vectors:
Na1 0.000 0.000 0.000
Na2 0.000 0.000 0.500
Hf1 0.500 0.500 0.248
Hf2 0.500 0.500 0.752
O1 0.000 0.500 0.301
O2 0.000 0.500 0.699
O3 0.500 0.000 0.301
O4 0.500 0.000 0.699
O5 0.500 0.500 0.000

---

Computed, not measured: a geometry-optimized Nd2Hf2O7 structure at the meta-GGA r2SCAN level of DFT.

Values from the calculation:
* formation energy from the elements: -3881.7 meV per atom
* mass density: 8.4 Mg/m³

Lattice parameters (Å, degrees): 7.523 7.523 7.523 60.00 60.00 60.00
Sites, in units of the cell vectors:
Nd1 0.000 0.000 0.000
Nd2 0.000 0.000 0.500
Nd3 0.000 0.500 0.000
Nd4 0.500 0.000 0.000
Hf1 0.000 0.500 0.500
Hf2 0.500 0.000 0.500
Hf3 0.500 0.500 0.000
Hf4 0.500 0.500 0.500
O1 0.125 0.125 0.125
O2 0.168 0.168 0.582
O3 0.168 0.582 0.168
O4 0.168 0.582 0.582
O5 0.418 0.418 0.832
O6 0.418 0.832 0.418
O7 0.418 0.832 0.832
O8 0.582 0.168 0.168
O9 0.582 0.168 0.582
O10 0.582 0.582 0.168
O11 0.832 0.418 0.418
O12 0.832 0.418 0.832
O13 0.832 0.832 0.418
O14 0.875 0.875 0.875

----------

Material: Na14Zr8Si11SO48
Method: DFT, PBE
State: relaxed

Lattice parameters (Å, degrees): 18.5370 9.2792 23.0580 90.01 90.01 120.00
Closest atoms and distances in Å follow each position.
Fractional positions:
Na1 0.3204 0.0000 0.2500  4 O 2.38-2.64
Na2 0.8203 0.0000 0.2500  4 O 2.38-2.64
Na3 0.3206 0.6425 0.7508  4 O 2.39-2.65
Na4 0.8167 0.6316 0.7493  4 O 2.41-2.60
Na5 0.5006 0.3647 0.7510  5 O 2.51-2.76
Na6 0.6846 0.0027 0.7493  5 O 2.47-2.76
Na7 0.1507 0.3354 0.5808  5 O 2.51-2.68
Na8 0.6505 0.3329 0.5841  6 O 2.53-2.77
Na9 0.0165 0.6946 0.5835  6 O 2.50-2.78
Na10 0.5173 0.7022 0.5830  6 O 2.53-2.78
Na11 0.3332 0.9649 0.5835  6 O 2.54-2.80
Na12 0.8318 0.9690 0.5834  5 O 2.50-2.80
Na13 0.1511 0.9676 0.0816  5 O 2.52-2.69
Na14 0.6511 0.9684 0.0816  5 O 2.51-2.74
Na15 0.3318 0.6962 0.0834  6 O 2.52-2.81
Na16 0.8317 0.6957 0.0837  6 O 2.52-2.80
Na17 0.0173 0.3377 0.0833  6 O 2.51-2.78
Na18 0.5171 0.3368 0.0835  6 O 2.52-2.78
Na19 0.4829 0.6669 0.9165  6 O 2.53-2.78
Na20 0.9839 0.6622 0.9167  5 O 2.51-2.73
Na21 0.3500 0.0327 0.9165  6 O 2.52-2.81
Na22 0.8486 0.0354 0.9166  6 O 2.49-2.79
Na23 0.1675 0.3042 0.9191  5 O 2.51-2.69
Na24 0.6664 0.2982 0.9163  6 O 2.53-2.77
Na25 0.4838 0.3040 0.4164  6 O 2.52-2.80
Na26 0.9836 0.3042 0.4166  6 O 2.52-2.81
Na27 0.1671 0.0317 0.4184  5 O 2.51-2.70
Na28 0.6670 0.0322 0.4186  5 O 2.51-2.74
Na29 0.3487 0.6632 0.4165  6 O 2.51-2.80
Na30 0.8485 0.6623 0.4165  6 O 2.51-2.77
Na31 0.0009 0.0009 0.4997  6 O 2.64-2.67
Na32 0.5007 0.9995 0.5012  6 O 2.59-2.68
Na33 0.0014 0.0020 0.0004  6 O 2.63-2.66
Na34 0.5004 0.9999 0.9987  6 O 2.59-2.68
Na35 0.3337 0.3269 0.8345  6 O 2.58-2.75
    Object and Place:1. OKQ (SCLP AP5.M41) V.1,1-V.2,1-6; V.3,1-2;4-5 2. MF DONNER. Other Sources:1. OTAR 2. OTMCL. Microform:Commonwealth. Absorbed by CANADIAN (CDN) in June 1897.
  • 1851-05-1852-02
    Object and Place:OKQ MF. Microform:PUBLIC ARCHIVES OF NOVA SCOTIA. MF based on OTMCL copy.
  • 1892-10-1898-03
    Object and Place:1. OONL: V.1 - 2 (OCT 1892 - MAR 1894) 2. QMM: V.3,1 - 6,12 (OCT 1894 - MAR 1898) 3. QMM(RB): V.6,1; V.6,11....
  • Object and Place:1. QMM: ORIG 2. QMM (RB): V.1, 6-8; V.4; V.6; V.13, 14....
  • Object and Place:1. OKQ (SCLP AS42.M27t) V.1,1-V.1,8 2. OHM COMPLETE....
  • End Run Date unknown. Object and Place:1. OONL (K-29-4): V.1,1 (MAR 1895). Deficiencies:Anything after V.1,1 (Mar 1895). Microform:CIHM #05048.
  • 1834-11-1835-12
    Object and Place:1. OTMCL : V.1,1 2. OKQ: V.1,2. Deficiencies:VOL.1, 3 + ?. Microform:CIHM #04848. Possibly only two issues printed.
  • 1841-01-1841-06
    Object and Place:OTMCL COMPLETE. Microform:CIHM #04521.
  • End Run Date unknown. Object and Place:1. OOA (P-667): V.1,1. Deficiencies:Anything after V.1,1 (Sep 1856). Microform:CIHM #04519.
  • End Run Date unknown. Object and Place:1. QQLa: MF (ofQQS copy) V.1,1. Other Sources:1. QQS 2. GAGNON. Deficiencies:ANY FURTHER ISSUES AFTER VOL.1,1. Microform:CANADIAN MICROFILMING COMPANY.
  • 1832-12-1834-03
    Object and Place:1. OTMCL: V.1, 1-4,7 2. OOA (P-667): V.1,5-6; V.2, 2-3 3. QQLa: MF V.1 4. QMU: complete (Baby Collection). Other Sources:QMBM: GAGNON COLL. Microform:CANADIAN MICROFILMING COMPANY.
  • Object and Place:1. NBS: V.1,5 (29 FEB 1840); V.1,12 (18 APR 1840) 2. NBSM: V.1, 13 (25 APR 1840)....
  • 1898-06-1906-02
### These materials data were left in the article by mistake
# 1
First-principles (r2SCAN) data for GdOF after structural relaxation, as listed in the Materials Project database.

Lattice parameters (Å, degrees): 3.895 3.895 5.550 90.00 90.00 90.00
Positions (direct):
1 Gd 0.000 0.500 0.713
2 Gd 0.500 0.000 0.287
3 O 0.000 0.000 0.500
4 O 0.500 0.500 0.500
5 F 0.000 0.000 0.000
6 F 0.500 0.500 0.000

Properties
Energy of formation from the pure elements ... -4107.2 meV per atom

# 2
First-principles (r2SCAN) data for Gd3Se4O12F after structural relaxation, as listed in the Materials Project database.

Lattice parameters (Å, degrees): 10.457 10.457 6.908 90.00 90.00 120.00
Positions (direct):
1 Gd 0.075 0.538 0.416
2 Gd 0.538 0.462 0.916
3 Gd 0.538 0.075 0.916
4 Gd 0.925 0.462 0.916
5 Gd 0.462 0.538 0.416
6 Gd 0.462 0.925 0.416
7 Se 0.690 0.845 0.648
8 Se 0.310 0.155 0.148
9 Se 0.333 0.667 0.982
10 Se 0.845 0.155 0.148
11 Se 0.155 0.310 0.648
12 Se 0.155 0.845 0.648
13 Se 0.667 0.333 0.482
14 Se 0.845 0.690 0.148
15 O 0.918 0.334 0.220
16 O 0.582 0.418 0.593
17 O 0.584 0.918 0.720
18 O 0.635 0.817 0.412
19 O 0.666 0.082 0.220
20 O 0.334 0.918 0.720
21 O 0.416 0.082 0.220
22 O 0.817 0.635 0.912
23 O 0.666 0.584 0.220
24 O 0.183 0.817 0.412
25 O 0.082 0.416 0.720
26 O 0.418 0.582 0.093
27 O 0.582 0.164 0.593
28 O 0.817 0.183 0.912
29 O 0.334 0.416 0.720
30 O 0.365 0.183 0.912
31 O 0.418 0.836 0.093
32 O 0.082 0.666 0.720
33 O 0.416 0.334 0.220
34 O 0.164 0.582 0.093
35 O 0.584 0.666 0.720
36 O 0.183 0.365 0.412
37 O 0.836 0.418 0.593
38 O 0.918 0.584 0.220
39 F 0.333 0.667 0.464
40 F 0.667 0.333 0.964

Properties
Energy of formation from the pure elements ... -2183.8 meV per atom

# 3
First-principles (r2SCAN) data for GdPtF7 after structural relaxation, as listed in the Materials Project database.

Lattice parameters (Å, degrees): 5.493 8.923 12.002 62.02 90.00 90.00
Positions (direct):
1 Gd 0.761 0.812 0.764
2 Gd 0.261 0.188 0.736
3 Gd 0.239 0.188 0.236
4 Gd 0.739 0.812 0.264
5 Pt 0.757 0.272 0.957
6 Pt 0.257 0.728 0.543
7 Pt 0.243 0.728 0.043
8 Pt 0.743 0.272 0.457
9 F 0.433 0.707 0.914
10 F 0.933 0.293 0.586
11 F 0.567 0.293 0.086
12 F 0.067 0.707 0.414
13 F 0.441 0.278 0.540
14 F 0.941 0.722 0.960
15 F 0.559 0.722 0.460
16 F 0.059 0.278 0.040
17 F 0.770 0.518 0.860
18 F 0.270 0.482 0.640
19 F 0.230 0.482 0.140
20 F 0.730 0.518 0.360
21 F 0.756 0.026 0.050
22 F 0.256 0.974 0.450
23 F 0.244 0.974 0.950
24 F 0.744 0.026 0.550
25 F 0.960 0.726 0.632
26 F 0.460 0.274 0.868
27 F 0.040 0.274 0.368
28 F 0.540 0.726 0.132
29 F 0.059 0.743 0.175
30 F 0.559 0.257 0.325
31 F 0.941 0.257 0.825
32 F 0.441 0.743 0.675
33 F 0.400 0.964 0.231
34 F 0.900 0.036 0.269
35 F 0.600 0.036 0.769
36 F 0.100 0.964 0.731

Properties
Energy of formation from the pure elements ... -2772.8 meV per atom

Question: Among the records above, which one has the lowest energy of formation from the pure elements?
Answer: GdOF

Repeat the second record exactly.
    Object and Place:1. OKQ (F1041.N52) JUN 1898-NOV 1899 2. MF MICROMEDIA. Microform:MICROMEDIA. Collected to end 1899 only. Suspended publication between Jan 1900-Oct 1904; V.4,1 begins Sep 1904.
  • 1867-10-1879-01
    Object and Place:1. OKR MF (INCOMPLETE) 2. OKQ (AP5.N5) OCT 1868-SEP 1869; APR-DEC 1870; JAN-DEC 1872; JUL-DEC 1873 3. OOC JAN-JUN 1873. Microform:COMMONWEALTH.
  • End Run Date unknown. Object and Place:1. OKQ Nos.2-4 2. OKR Nos.2-10 3. OTMCL. Collected to end 1899 only.
